# Job
It remains to filter the rows further below: keep the lines with the word "Unit".

# Given
____________
# 1
Diffraction record for NaTmCdSe3. The XRD peak list is computed, not measured: it uses the PBE geometry in OQMD and Cu Kα.

Structure:
Unit cell a=11.041 b=4.128 c=13.743 alpha=90.00 beta=90.00 gamma=90.00
Atoms (fractional coordinates):
1 Na 0.219 0.250 0.006
2 Na 0.281 0.750 0.505
3 Na 0.719 0.250 0.494
4 Na 0.781 0.750 0.994
5 Tm 0.013 0.750 0.742
6 Tm 0.487 0.250 0.242
7 Tm 0.513 0.750 0.758
8 Tm 0.987 0.250 0.258
9 Cd 0.237 0.750 0.218
10 Cd 0.263 0.250 0.718
11 Cd 0.737 0.750 0.282
12 Cd 0.763 0.250 0.782
13 Se 0.036 0.750 0.119
14 Se 0.072 0.250 0.608
15 Se 0.235 0.250 0.340
16 Se 0.265 0.750 0.840
17 Se 0.428 0.750 0.108
18 Se 0.464 0.250 0.619
19 Se 0.536 0.750 0.381
20 Se 0.572 0.250 0.892
21 Se 0.735 0.250 0.160
22 Se 0.765 0.750 0.660
23 Se 0.928 0.750 0.392
24 Se 0.964 0.250 0.881

Peak list (6 most intense, 2θ from 10° to 90°, sorted by position)
two_theta  I/Imax
12.88  100
30.25  30
32.44  26
33.42  84
42.77  47
43.86  21

---

# 2
Diffraction record for Na2CdSiTe4. The XRD peak list is computed, not measured: it uses the PBE geometry in OQMD and Cu Kα.

Structure:
Unit cell a=7.170 b=7.170 c=11.080 alpha=90.00 beta=90.00 gamma=90.00
Atoms (fractional coordinates):
1 Na 0.000 0.000 0.000
2 Na 0.000 0.500 0.250
3 Na 0.500 0.000 0.750
4 Na 0.500 0.500 0.500
5 Cd 0.000 0.500 0.750
6 Cd 0.500 0.000 0.250
7 Si 0.000 0.000 0.500
8 Si 0.500 0.500 0.000
9 Te 0.202 0.223 0.620
10 Te 0.223 0.798 0.380
11 Te 0.277 0.702 0.880
12 Te 0.298 0.277 0.120
13 Te 0.702 0.723 0.120
14 Te 0.723 0.298 0.880
15 Te 0.777 0.202 0.380
16 Te 0.798 0.777 0.620

Peak list (6 most intense, 2θ from 10° to 90°, sorted by position)
two_theta  I/Imax
14.72  25
23.79  100
28.99  16
35.41  23
41.19  36
43.11  26

---

# 3
Diffraction record for Na10CdSn12. The XRD peak list is computed, not measured: it uses the PBE geometry in OQMD and Cu Kα.

Structure:
Unit cell a=9.710 b=9.710 c=9.710 alpha=109.47 beta=109.47 gamma=109.47
Atoms (fractional coordinates):
1 Na 0.000 0.000 0.381
2 Na 0.000 0.381 0.000
3 Na 0.250 0.500 0.750
4 Na 0.250 0.750 0.500
5 Na 0.381 0.000 0.000
6 Na 0.500 0.250 0.750
7 Na 0.500 0.750 0.250
8 Na 0.619 0.619 0.619
9 Na 0.750 0.250 0.500
10 Na 0.750 0.500 0.250
11 Cd 0.000 0.000 0.000
12 Sn 0.000 0.628 0.810
13 Sn 0.000 0.810 0.628
14 Sn 0.183 0.372 0.372
15 Sn 0.190 0.190 0.817
16 Sn 0.190 0.817 0.190
17 Sn 0.372 0.183 0.372
18 Sn 0.372 0.372 0.183
19 Sn 0.628 0.000 0.810
20 Sn 0.628 0.810 0.000
21 Sn 0.810 0.000 0.628
22 Sn 0.810 0.628 0.000
23 Sn 0.817 0.190 0.190

Peak list (6 most intense, 2θ from 10° to 90°, sorted by position)
two_theta  I/Imax
11.16  67
19.39  100
29.82  56
33.92  71
37.63  92
41.05  47

---

# 4
Diffraction record for Na2Sr2Cd3. The XRD peak list is computed, not measured: it uses the PBE geometry in OQMD and Cu Kα.

Structure:
Unit cell a=9.221 b=9.221 c=9.221 alpha=34.46 beta=34.46 gamma=34.46
Atoms (fractional coordinates):
1 Na 0.000 0.000 0.000
2 Na 0.495 0.495 0.495
3 Sr 0.237 0.237 0.237
4 Sr 0.752 0.752 0.752
5 Cd 0.365 0.365 0.365
6 Cd 0.621 0.621 0.621
7 Cd 0.880 0.880 0.880

Peak list (6 most intense, 2θ from 10° to 90°, sorted by position)
two_theta  I/Imax
10.21  25
19.97  29
32.79  100
33.46  85
47.55  31
58.96  31

---

# 5
Diffraction record for Na4Tl3Cd. The XRD peak list is computed, not measured: it uses the PBE geometry in OQMD and Cu Kα.

Structure:
Unit cell a=5.298 b=5.298 c=7.497 alpha=90.00 beta=90.00 gamma=90.00
Atoms (fractional coordinates):
1 Na 0.000 0.000 0.000
2 Na 0.000 0.500 0.748
3 Na 0.500 0.000 0.252
4 Na 0.500 0.500 0.500
5 Tl 0.000 0.500 0.255
6 Tl 0.500 0.000 0.745
7 Tl 0.500 0.500 0.000
8 Cd 0.000 0.000 0.500

Peak list (6 most intense, 2θ from 10° to 90°, sorted by position)
two_theta  I/Imax
20.53  67
33.83  100
39.90  37
48.60  18
53.29  17
60.53  37

---

# 6
Diffraction record for NbCdPO. The XRD peak list is computed, not measured: it uses the PBE geometry in OQMD and Cu Kα.

Structure:
____________

# Response
Unit cell a=11.041 b=4.128 c=13.743 alpha=90.00 beta=90.00 gamma=90.00
Unit cell a=7.170 b=7.170 c=11.080 alpha=90.00 beta=90.00 gamma=90.00
Unit cell a=9.710 b=9.710 c=9.710 alpha=109.47 beta=109.47 gamma=109.47
Unit cell a=9.221 b=9.221 c=9.221 alpha=34.46 beta=34.46 gamma=34.46
Unit cell a=5.298 b=5.298 c=7.497 alpha=90.00 beta=90.00 gamma=90.00